== Given ==
Computed, not measured: a structure of composition C36H48N2O22S2 in a non-equilibrium geometry, with ωB97M-V/def2-TZVPD.

The geometry in ORCA input format:
```
! wB97M-V def2-TZVPD RIJCOSX def2/J DEFGRID3
* xyz 0 1
C -10.159 -3.445 0.335
C -9.082 -3.363 -0.723
O -8.166 -2.419 -0.229
S -7.892 -2.856 1.328
O -7.525 -1.768 2.208
O -6.954 -3.980 1.386
O -9.415 -3.447 1.562
H -10.719 -4.375 0.226
H -10.763 -2.555 0.512
H -9.518 -3.089 -1.684
H -8.522 -4.288 -0.861
C 4.609 8.636 -6.634
C 4.459 7.675 -7.813
O 4.412 6.366 -7.380
S 4.628 6.166 -5.733
O 5.872 5.485 -5.408
O 3.351 5.878 -5.044
O 4.869 7.807 -5.494
H 3.730 9.275 -6.545
H 5.538 9.206 -6.645
H 5.222 7.900 -8.558
H 3.541 7.967 -8.323
C 3.201 6.713 3.250
C 2.015 5.985 3.352
C 1.700 5.431 4.590
C 2.533 5.563 5.669
C 3.738 6.304 5.535
C 4.051 6.928 4.330
N 2.181 4.968 7.001
O 3.060 4.885 7.827
O 1.025 4.694 7.156
H 3.478 7.205 2.330
H 1.368 5.884 2.493
H 0.801 4.851 4.741
H 4.405 6.453 6.370
H 4.949 7.519 4.232
C -0.934 -0.691 -6.928
C -0.112 -0.544 -8.048
C -0.198 0.667 -8.807
C -1.069 1.689 -8.383
C -1.870 1.509 -7.174
C -1.718 0.318 -6.498
N -1.133 2.947 -9.084
O -1.823 3.902 -8.647
O -0.422 3.127 -10.061
H -0.964 -1.654 -6.440
H 0.484 -1.336 -8.475
H 0.383 0.722 -9.716
H -2.520 2.277 -6.782
H -2.162 0.274 -5.514
O 8.832 -2.417 1.546
C 8.921 -1.182 1.788
O 9.075 -0.671 3.047
C 8.979 0.816 3.033
C 8.582 1.190 1.630
C 8.898 -0.023 0.730
H 9.944 1.255 3.287
H 8.142 1.096 3.672
H 8.971 2.118 1.211
H 7.504 1.354 1.622
H 9.920 0.051 0.358
H 8.108 -0.177 -0.005
O -0.404 -10.408 0.230
C -1.510 -10.924 0.391
O -1.809 -12.169 0.124
C -3.125 -12.555 0.291
C -3.891 -11.304 0.600
C -2.735 -10.296 0.945
H -3.107 -13.299 1.087
H -3.705 -13.118 -0.441
H -4.621 -11.453 1.395
H -4.437 -10.915 -0.259
H -2.785 -10.185 2.028
H -2.912 -9.333 0.465
O 3.277 -2.156 6.743
C 3.406 -3.161 7.442
O 4.498 -4.001 7.377
C 4.177 -5.245 7.877
C 2.749 -5.193 8.274
C 2.337 -3.730 8.332
H 4.812 -5.410 8.747
H 4.313 -5.914 7.027
H 2.562 -5.727 9.206
H 2.005 -5.605 7.592
H 2.278 -3.418 9.374
H 1.326 -3.705 7.924
O -10.073 3.696 -1.131
C -9.007 4.173 -1.469
O -8.393 5.062 -0.674
C -7.435 5.817 -1.400
C -7.118 5.000 -2.583
C -8.222 3.987 -2.778
H -6.536 6.063 -0.835
H -7.749 6.809 -1.727
H -6.229 4.408 -2.362
H -6.787 5.694 -3.355
H -7.869 2.957 -2.808
H -8.777 4.237 -3.683
O -0.930 0.632 0.496
C -0.158 -0.268 0.847
O -0.534 -1.368 1.502
C 0.432 -2.367 1.568
C 1.497 -1.850 0.592
C 1.329 -0.350 0.721
H -0.010 -3.310 1.247
H 0.762 -2.452 2.603
H 1.266 -2.246 -0.397
H 2.520 -2.172 0.789
H 1.595 0.186 -0.190
H 1.887 0.110 1.536
*
```

Properties
LUMO level = -0.8 eV
Gap between HOMO and LUMO = 9.16 eV
HOMO energy = -0.366 Eh

Computed, not measured: the molecule C21H20N2O3S in a non-equilibrium geometry, with ωB97M-V/def2-TZVPD.

The geometry in ORCA input format:
```
! wB97M-V def2-TZVPD RIJCOSX def2/J DEFGRID3
* xyz 0 1
C -1.176 3.512 -2.391
C -0.244 3.703 -1.290
N -0.915 3.035 -0.128
C -1.783 3.831 0.696
C -3.178 3.315 0.498
C -0.419 1.757 0.354
O -0.506 1.391 1.523
O 0.046 0.875 -0.649
C 0.199 -0.463 -0.464
C 1.454 -1.037 -0.454
C 2.624 -0.310 -0.372
C 3.098 0.612 0.537
C 4.457 1.254 0.133
C 4.960 0.651 -1.024
S 3.892 -0.632 -1.558
O 1.695 -2.349 -0.714
C 1.164 -3.254 0.064
C 2.142 -4.120 0.578
C 1.853 -5.000 1.574
C 0.622 -5.067 2.170
C -0.362 -4.277 1.573
C -0.113 -3.363 0.506
N -1.135 -2.545 0.101
C -2.477 -2.987 0.004
C -3.229 -1.940 -0.155
C -2.429 -0.748 -0.313
C -1.108 -1.212 -0.275
H -2.173 3.962 -2.212
H -1.341 2.488 -2.748
H -0.864 4.067 -3.294
H 0.757 3.312 -1.505
H -0.059 4.789 -1.114
H -1.679 4.905 0.416
H -1.676 3.685 1.746
H -3.322 3.031 -0.551
== Wanted ==
Transcribe all of the lines earlier on unchanged, please.
== Worked solution ==
Computed, not measured: a structure of composition C36H48N2O22S2 in a non-equilibrium geometry, with ωB97M-V/def2-TZVPD.

The geometry in ORCA input format:
```
! wB97M-V def2-TZVPD RIJCOSX def2/J DEFGRID3
* xyz 0 1
C -10.159 -3.445 0.335
C -9.082 -3.363 -0.723
O -8.166 -2.419 -0.229
S -7.892 -2.856 1.328
O -7.525 -1.768 2.208
O -6.954 -3.980 1.386
O -9.415 -3.447 1.562
H -10.719 -4.375 0.226
H -10.763 -2.555 0.512
H -9.518 -3.089 -1.684
H -8.522 -4.288 -0.861
C 4.609 8.636 -6.634
C 4.459 7.675 -7.813
O 4.412 6.366 -7.380
S 4.628 6.166 -5.733
O 5.872 5.485 -5.408
O 3.351 5.878 -5.044
O 4.869 7.807 -5.494
H 3.730 9.275 -6.545
H 5.538 9.206 -6.645
H 5.222 7.900 -8.558
H 3.541 7.967 -8.323
C 3.201 6.713 3.250
C 2.015 5.985 3.352
C 1.700 5.431 4.590
C 2.533 5.563 5.669
C 3.738 6.304 5.535
C 4.051 6.928 4.330
N 2.181 4.968 7.001
O 3.060 4.885 7.827
O 1.025 4.694 7.156
H 3.478 7.205 2.330
H 1.368 5.884 2.493
H 0.801 4.851 4.741
H 4.405 6.453 6.370
H 4.949 7.519 4.232
C -0.934 -0.691 -6.928
C -0.112 -0.544 -8.048
C -0.198 0.667 -8.807
C -1.069 1.689 -8.383
C -1.870 1.509 -7.174
C -1.718 0.318 -6.498
N -1.133 2.947 -9.084
O -1.823 3.902 -8.647
O -0.422 3.127 -10.061
H -0.964 -1.654 -6.440
H 0.484 -1.336 -8.475
H 0.383 0.722 -9.716
H -2.520 2.277 -6.782
H -2.162 0.274 -5.514
O 8.832 -2.417 1.546
C 8.921 -1.182 1.788
O 9.075 -0.671 3.047
C 8.979 0.816 3.033
C 8.582 1.190 1.630
C 8.898 -0.023 0.730
H 9.944 1.255 3.287
H 8.142 1.096 3.672
H 8.971 2.118 1.211
H 7.504 1.354 1.622
H 9.920 0.051 0.358
H 8.108 -0.177 -0.005
O -0.404 -10.408 0.230
C -1.510 -10.924 0.391
O -1.809 -12.169 0.124
C -3.125 -12.555 0.291
C -3.891 -11.304 0.600
C -2.735 -10.296 0.945
H -3.107 -13.299 1.087
H -3.705 -13.118 -0.441
H -4.621 -11.453 1.395
H -4.437 -10.915 -0.259
H -2.785 -10.185 2.028
H -2.912 -9.333 0.465
O 3.277 -2.156 6.743
C 3.406 -3.161 7.442
O 4.498 -4.001 7.377
C 4.177 -5.245 7.877
C 2.749 -5.193 8.274
C 2.337 -3.730 8.332
H 4.812 -5.410 8.747
H 4.313 -5.914 7.027
H 2.562 -5.727 9.206
H 2.005 -5.605 7.592
H 2.278 -3.418 9.374
H 1.326 -3.705 7.924
O -10.073 3.696 -1.131
C -9.007 4.173 -1.469
O -8.393 5.062 -0.674
C -7.435 5.817 -1.400
C -7.118 5.000 -2.583
C -8.222 3.987 -2.778
H -6.536 6.063 -0.835
H -7.749 6.809 -1.727
H -6.229 4.408 -2.362
H -6.787 5.694 -3.355
H -7.869 2.957 -2.808
H -8.777 4.237 -3.683
O -0.930 0.632 0.496
C -0.158 -0.268 0.847
O -0.534 -1.368 1.502
C 0.432 -2.367 1.568
C 1.497 -1.850 0.592
C 1.329 -0.350 0.721
H -0.010 -3.310 1.247
H 0.762 -2.452 2.603
H 1.266 -2.246 -0.397
H 2.520 -2.172 0.789
H 1.595 0.186 -0.190
H 1.887 0.110 1.536
*
```

Properties
LUMO level = -0.8 eV
Gap between HOMO and LUMO = 9.16 eV
HOMO energy = -0.366 Eh

Computed, not measured: the molecule C21H20N2O3S in a non-equilibrium geometry, with ωB97M-V/def2-TZVPD.

The geometry in ORCA input format:
```
! wB97M-V def2-TZVPD RIJCOSX def2/J DEFGRID3
* xyz 0 1
C -1.176 3.512 -2.391
C -0.244 3.703 -1.290
N -0.915 3.035 -0.128
C -1.783 3.831 0.696
C -3.178 3.315 0.498
C -0.419 1.757 0.354
O -0.506 1.391 1.523
O 0.046 0.875 -0.649
C 0.199 -0.463 -0.464
C 1.454 -1.037 -0.454
C 2.624 -0.310 -0.372
C 3.098 0.612 0.537
C 4.457 1.254 0.133
C 4.960 0.651 -1.024
S 3.892 -0.632 -1.558
O 1.695 -2.349 -0.714
C 1.164 -3.254 0.064
C 2.142 -4.120 0.578
C 1.853 -5.000 1.574
C 0.622 -5.067 2.170
C -0.362 -4.277 1.573
C -0.113 -3.363 0.506
N -1.135 -2.545 0.101
C -2.477 -2.987 0.004
C -3.229 -1.940 -0.155
C -2.429 -0.748 -0.313
C -1.108 -1.212 -0.275
H -2.173 3.962 -2.212
H -1.341 2.488 -2.748
H -0.864 4.067 -3.294
H 0.757 3.312 -1.505
H -0.059 4.789 -1.114
H -1.679 4.905 0.416
H -1.676 3.685 1.746
H -3.322 3.031 -0.551